How do young people choose a profession?

How do young people choose a profession?
How do young people choose a profession?

Why are there so few really happy people in life? How do those who achieve maximum success choose a profession?

Paradoxically, what parents and school tell us turns out to be the most unfortunate decision. Let's remember the great figures of culture and art. Parents or fate intended for them a certain path (Vysotsky, Galich, Rosenbaum, Bulgakov …). However, their inner selves chose completely

how to choose a profession
how to choose a profession

other option. How do successful businessmen choose a profession? Very few among them are those who make vital decisions under the influence of family tradition, the beliefs of classmates or friends. "For the company", as a rule, do not become high-class professionals. Many change dozens of activities in their lives until they find themselves.

How do young people choose a profession? Unfortunately, they rarely think about how comfortable they will feel in a particular role. Often a favorite character, a movie, a "high mission" imagination, or a childhood experience is of great importance. However, the most important thing is whether thethis kind of occupation will affect the abilities, the mental make-up of a person, or it will require a radical break-up "in the name of an idea." A free test, which profession to choose, can be taken not only in the psychologist's office, but also online. Such a questionnaire is built taking into account the characteristics of the main areas of human activity and serves as a tool for analyzing how a particular person can realize himself in this area.

How do test-takers choose a profession?

how to choose a profession
how to choose a profession

They better understand themselves, their inclinations and characteristics. For example, the field of activity "man - other people" is suitable for one. What does this mean in practice? Such a person will be able to realize his potential in communication, in helping and interacting with others. He can become a good doctor, teacher, educator. He is comfortable with other people, he knows how to help them and feels needed. And how do those whose preferred field of activity is connected with sign systems choose a profession? They feel "in their place" when working with texts, signs, tables, data. They do not need and even interfere with excessive communication, they are pronounced introverts. They like to work in silence and concentration.

Others can successfully realize their potential in the natural environment. They do not need constant communication with others, but they feel comfortable with animals and plants. Such people will make excellent biologists, zoologists, veterinarians. How to choose a profession to your liking?

free test whatchoose a profession
free test whatchoose a profession

-- Data records that have nothing to do with the entry --
-- begin --
# 1
Entry from Alexandria: a relaxed AcLa2TbHo5 crystal (PBE-GGA).

Values from the calculation:
**Crystal system**: tetragonal
**Energy of formation from the pure elements**: 0.251 eV per atom

Structure (CIF):
```
data_AcLa2TbHo5
_cell_length_a 8.798
_cell_length_b 8.798
_cell_length_c 15.865
_cell_angle_alpha 90.00
_cell_angle_beta 90.00
_cell_angle_gamma 90.00
_space_group_name_H-M_alt 'I 4/m c m'
_space_group_IT_number 140
_space_group_name_Hall '-I 4 2c'
loop_
_atom_site_label
_atom_site_type_symbol
_atom_site_fract_x
_atom_site_fract_y
_atom_site_fract_z
Ac1 Ac 0.000 0.000 0.250
La1 La 0.117 0.383 0.000
Tb1 Tb 0.000 0.500 0.250
Ho1 Ho 0.000 0.000 0.000
Ho2 Ho 0.211 0.289 0.364
```

***

# 2
Entry from Alexandria: a relaxed AcGa3Pd3 crystal (PBE-GGA).

Values from the calculation:
**Crystal system**: cubic
**Energy of formation from the pure elements**: -0.479 eV per atom

Structure (CIF):
```
data_AcGa3Pd3
_cell_length_a 6.866
_cell_length_b 6.866
_cell_length_c 6.866
_cell_angle_alpha 90.00
_cell_angle_beta 90.00
_cell_angle_gamma 90.00
_space_group_name_H-M_alt 'P m -3 n'
_space_group_IT_number 223
_space_group_name_Hall '-P 4n 2 3'
loop_
_atom_site_label
_atom_site_type_symbol
_atom_site_fract_x
_atom_site_fract_y
_atom_site_fract_z
Ac1 Ac 0.000 0.000 0.000
Ga1 Ga 0.000 0.250 0.500
Pd1 Pd 0.000 0.500 0.250
```

***

# 3
Entry from Alexandria: a relaxed KZnIn4 crystal (PBE-GGA).

Values from the calculation:
**Crystal system**: orthorhombic
**Energy of formation from the pure elements**: -0.063 eV per atom

Structure (CIF):
```
data_KZnIn4
_cell_length_a 4.803
_cell_length_b 17.676
_cell_length_c 7.668
_cell_angle_alpha 90.00
_cell_angle_beta 90.00
_cell_angle_gamma 90.00
_space_group_name_H-M_alt 'C m c m'
_space_group_IT_number 63
_space_group_name_Hall '-C 2c 2'
loop_
_atom_site_label
_atom_site_type_symbol
_atom_site_fract_x
_atom_site_fract_y
_atom_site_fract_z
K1 K 0.000 0.124 0.250
Zn1 Zn 0.000 0.228 0.750
In1 In 0.000 0.067 0.750
In2 In 0.000 0.320 0.051
In3 In 0.000 0.500 0.000
```

***

# 4
Entry from Alexandria: a relaxed Na4La3CeSe8 crystal (PBE-GGA).

Values from the calculation:
**Formation energy without anion corrections**: -1.720 eV/atom
**Crystal system**: trigonal

Structure (CIF):
```
data_Na4La3CeSe8
_cell_length_a 8.7337
_cell_length_b 8.7337
_cell_length_c 20.8726
_cell_angle_alpha 90.00
_cell_angle_beta 90.00
_cell_angle_gamma 120.00
_space_group_name_H-M_alt 'R -3 m'
_space_group_IT_number 166
_space_group_name_Hall '-R 3 2"'
loop_
_atom_site_label
_atom_site_type_symbol
_atom_site_fract_x
_atom_site_fract_y
_atom_site_fract_z
Na1 Na 0.0000 0.0000 0.0000
Na2 Na 0.0000 0.5000 0.0000
La1 La 0.0000 0.5000 0.5000
Ce1 Ce 0.0000 0.0000 0.5000
Se1 Se 0.0000 0.0000 0.2460
Se2 Se 0.0029 0.5015 0.2455
```

***

# 5
Entry from Alexandria: a relaxed LiYRu2 crystal (PBE-GGA).

Values from the calculation:
**Crystal system**: cubic
**Energy of formation from the pure elements**: 0.084 eV per atom

Structure (CIF):
```
-- stop --

Besides tests, the ability to listen to yourself is important. If you are drawn to technology, if you can stay in the garage for hours, you know the purpose of each screw in the mechanism, and your parents tell you that "the most prestigious profession is a lawyer," listen to yourself. What is the use of how much a person can earn in this position if he goes to work with disgust, if his soul "does not lie" to help other people. And vice versa: those who cannot imagine a day without communication can hardly "devote themselves" to dry figures or data. They will feel much better in direct sales, in contacts with people, than one-on-one with a computer.

How do those who want to live in harmony with themselves and the world choose a profession? They do not try to break themselves, set them up and convince them that "this is how it should be", "this is what parents want", "it will bring success". They do what the soul lies to. Only in this case can we talk about success.
